## Excerpt
A PBEsol-optimized structure of Y2Ga2Hg, computed with meta-GGA SCAN.

Cell: 4.430 6.993 6.993 Å, 90.00 90.00 90.00°
Positions (direct):
Y  0.500  0.329  0.171
Y  0.500  0.171  0.671
Ga  0.000  0.371  0.871
Ga  0.000  0.629  0.129
Hg  0.000  0.000  0.000
Ga  0.000  0.129  0.371
Y  0.500  0.829  0.329
Y  0.500  0.671  0.829
Ga  0.000  0.871  0.629
Hg  0.000  0.500  0.500

For the total DFT energy (no corrections), the calculation gives -32.058 eV/atom. The formation energy is -0.749 eV/atom. The value obtained for the calculated volume is 21.7 A^3/atom. As for the magnetic moment: 0.0 μB/cell.



A PBEsol-optimized structure of YGaHg, computed with meta-GGA SCAN.

Cell: 4.543 4.543 7.211 Å, 90.00 90.00 120.00°
Positions (direct):
Ga  0.667  0.333  0.022
Hg  0.333  0.667  0.106
Hg  0.667  0.333  0.606
Ga  0.333  0.667  0.522
Y  0.000  0.000  0.318
Y  0.000  0.000  0.818

For the total DFT energy (no corrections), the calculation gives -38.246 eV/atom. The formation energy is -0.794 eV/atom. The value obtained for the calculated volume is 21.5 A^3/atom. As for the magnetic moment: 0.0 μB/cell.



A PBEsol-optimized structure of Zr2Ga2Hg, computed with meta-GGA SCAN.

Cell: 3.912 6.891 6.891 Å, 90.00 90.00 90.00°
Positions (direct):
Zr  0.500  0.325  0.175
Ga  0.000  0.625  0.125
Hg  0.000  0.000  0.000
Ga  0.000  0.125  0.375
Ga  0.000  0.875  0.625
Ga  0.000  0.375  0.875
Zr  0.500  0.675  0.825
Hg  0.000  0.500  0.500
Zr  0.500  0.825  0.325
Zr  0.500  0.175  0.675

For the total DFT energy (no corrections), the calculation gives -33.045 eV/atom. The formation energy is -0.593 eV/atom. The value obtained for the calculated volume is 18.6 A^3/atom. As for the magnetic moment: 0.0 μB/cell.



A PBEsol-optimized structure of Ho5Ga3, computed with meta-GGA SCAN.

Cell: 7.457 7.457 13.876 Å, 90.00 90.00 90.00°
Positions (direct):
Ho  0.182  0.844  0.898
Ho  0.318  0.656  0.102
Ga  0.500  0.000  0.507
Ga  0.500  0.000  0.007
Ho  0.000  0.500  0.772
Ho  0.818  0.156  0.898
Ho  0.156  0.182  0.102
Ga  0.877  0.123  0.250
Ho  0.500  0.000  0.728
Ho  0.844  0.182  0.602
Ho  0.344  0.682  0.398
Ga  0.623  0.623  0.250
Ho  0.844  0.818  0.102
Ga  0.123  0.877  0.250
Ga  0.123  0.123  0.750
Ho  0.656  0.318  0.398
Ga  0.377  0.623  0.750
Ga  0.623  0.377  0.750
Ho  0.682  0.656  0.602
Ho  0.000  0.500  0.272
Ho  0.318  0.344  0.602
Ga  0.000  0.500  0.493
Ga  0.877  0.877  0.750
Ho  0.682  0.344  0.102
Ho  0.182  0.156  0.398
Ho  0.818  0.844  0.398
Ho  0.500  0.000  0.228
Ho  0.656  0.682  0.898
Ga  0.000  0.500  0.993
Ho  0.344  0.318  0.898
Ho  0.156  0.818  0.602
Ga  0.377  0.377  0.250

For the total DFT energy (no corrections), the calculation gives -37.330 eV/atom. The formation energy is -0.583 eV/atom. The value obtained for the calculated volume is 24.1 A^3/atom. As for the magnetic moment: 0.0 μB/cell. The value obtained for the energy above the most stable polymorph in this dataset is 0.0 meV per atom.



The highest total DFT energy (no corrections) belongs to which entry? Y2Ga2Hg



Repeat the third record exactly.

## To do
Repeat all of the contents further up verbatim.

## Written answer
A PBEsol-optimized structure of Y2Ga2Hg, computed with meta-GGA SCAN.

Cell: 4.430 6.993 6.993 Å, 90.00 90.00 90.00°
Positions (direct):
Y  0.500  0.329  0.171
Y  0.500  0.171  0.671
Ga  0.000  0.371  0.871
Ga  0.000  0.629  0.129
Hg  0.000  0.000  0.000
Ga  0.000  0.129  0.371
Y  0.500  0.829  0.329
Y  0.500  0.671  0.829
Ga  0.000  0.871  0.629
Hg  0.000  0.500  0.500

For the total DFT energy (no corrections), the calculation gives -32.058 eV/atom. The formation energy is -0.749 eV/atom. The value obtained for the calculated volume is 21.7 A^3/atom. As for the magnetic moment: 0.0 μB/cell.



A PBEsol-optimized structure of YGaHg, computed with meta-GGA SCAN.

Cell: 4.543 4.543 7.211 Å, 90.00 90.00 120.00°
Positions (direct):
Ga  0.667  0.333  0.022
Hg  0.333  0.667  0.106
Hg  0.667  0.333  0.606
Ga  0.333  0.667  0.522
Y  0.000  0.000  0.318
Y  0.000  0.000  0.818

For the total DFT energy (no corrections), the calculation gives -38.246 eV/atom. The formation energy is -0.794 eV/atom. The value obtained for the calculated volume is 21.5 A^3/atom. As for the magnetic moment: 0.0 μB/cell.



A PBEsol-optimized structure of Zr2Ga2Hg, computed with meta-GGA SCAN.

Cell: 3.912 6.891 6.891 Å, 90.00 90.00 90.00°
Positions (direct):
Zr  0.500  0.325  0.175
Ga  0.000  0.625  0.125
Hg  0.000  0.000  0.000
Ga  0.000  0.125  0.375
Ga  0.000  0.875  0.625
Ga  0.000  0.375  0.875
Zr  0.500  0.675  0.825
Hg  0.000  0.500  0.500
Zr  0.500  0.825  0.325
Zr  0.500  0.175  0.675

For the total DFT energy (no corrections), the calculation gives -33.045 eV/atom. The formation energy is -0.593 eV/atom. The value obtained for the calculated volume is 18.6 A^3/atom. As for the magnetic moment: 0.0 μB/cell.



A PBEsol-optimized structure of Ho5Ga3, computed with meta-GGA SCAN.

Cell: 7.457 7.457 13.876 Å, 90.00 90.00 90.00°
Positions (direct):
Ho  0.182  0.844  0.898
Ho  0.318  0.656  0.102
Ga  0.500  0.000  0.507
Ga  0.500  0.000  0.007
Ho  0.000  0.500  0.772
Ho  0.818  0.156  0.898
Ho  0.156  0.182  0.102
Ga  0.877  0.123  0.250
Ho  0.500  0.000  0.728
Ho  0.844  0.182  0.602
Ho  0.344  0.682  0.398
Ga  0.623  0.623  0.250
Ho  0.844  0.818  0.102
Ga  0.123  0.877  0.250
Ga  0.123  0.123  0.750
Ho  0.656  0.318  0.398
Ga  0.377  0.623  0.750
Ga  0.623  0.377  0.750
Ho  0.682  0.656  0.602
Ho  0.000  0.500  0.272
Ho  0.318  0.344  0.602
Ga  0.000  0.500  0.493
Ga  0.877  0.877  0.750
Ho  0.682  0.344  0.102
Ho  0.182  0.156  0.398
Ho  0.818  0.844  0.398
Ho  0.500  0.000  0.228
Ho  0.656  0.682  0.898
Ga  0.000  0.500  0.993
Ho  0.344  0.318  0.898
Ho  0.156  0.818  0.602
Ga  0.377  0.377  0.250

For the total DFT energy (no corrections), the calculation gives -37.330 eV/atom. The formation energy is -0.583 eV/atom. The value obtained for the calculated volume is 24.1 A^3/atom. As for the magnetic moment: 0.0 μB/cell. The value obtained for the energy above the most stable polymorph in this dataset is 0.0 meV per atom.



The highest total DFT energy (no corrections) belongs to which entry? Y2Ga2Hg



Repeat the third record exactly.